Presence: The Golden Key That Unlocked My Flow
Last week in an Instagram story I shared that at the crux of giving and receiving love (and what I believe is at the core of all love languages) is PRESENCE. Later that day, a loved one asked me on the phone what had helped me in becoming and being more present in my life.
The full answer comes in a long and winding healing story that spans the last 5 years (and continues on, of course), but I loved her question because
PRESENCE is the golden key that unlocked my flow.
While offering my presence and energy to others was more natural years ago (and now I can see that the quality of that presence was not always of my highest offering as I was often in my head and not embodied), cultivating presence with myself and everything swirling inside of me did not come easy to me.
I was the Queen of avoidance of my inner workings, pain, needs, desires, and more, and I needed A LOT of support in the early years of working with my coach to feel safe enough to really allow presence in - to really allow myself to slow down, to deeply listen to myself , to feel and tend.
As I found my footing and slowly walked through the presence initiation, there was a lot of pain and grief asking to be held and seen, but there was also incredible and immense love, wisdom, breakthroughs, and liberation. This unlocking process was one of great release of all I had been holding in for so many years, offering me more inner space to breathe and be, to explore and evolve, to experience contentment, peace, and joy. It unlocked my ability to FLOW with all of me and all of Life.
In my experience, without presence there is no conscious flow.
Without presence, there is no embodied acceptance.
Without presence, we miss out on the magic of our continued becoming and soul evolution because instead of seeing and working with life as a great teacher and mirror, we feel distracted and trapped by all the challenges that come our way.
Presence opens the doorway to deep listening, to attuning our ear and heart to our knowing.
Presence opens the doorway to liberation and healing as it brings us into connection with emotions that want to flow through us and create space in us.
Presence connects us to the grace, Love, compassion, and vibrancy that is already alive within us, no matter how disconnected we have felt from it.
<<<
No. 1
The following is a DFT calculation (PBE) of a geometry-optimized CaBi2O5 structure.

The structure in POSCAR format:
```
CaBi2O5
1.0
3.968 0.000 0.000
0.000 5.371 0.000
0.000 0.000 13.684
O Bi Ca
10 4 2
direct
0.500 0.068 0.831
0.000 0.932 0.331
0.000 0.932 0.669
0.500 0.920 0.500
0.000 0.540 0.101
0.500 0.460 0.601
0.500 0.068 0.169
0.500 0.460 0.399
0.000 0.540 0.899
0.000 0.080 0.000
0.000 0.905 0.856
0.000 0.905 0.144
0.500 0.095 0.356
0.500 0.095 0.644
0.000 0.626 0.500
0.500 0.374 0.000
```

Its space-group type is Pmmn (59).

=====

No. 2
The following is a DFT calculation (PBE) of a geometry-optimized Ca2Bi10O17 structure.

The structure in POSCAR format:
```
Ca2Bi10O17
1.0
4.045 6.761 0.000
-4.045 6.761 0.000
0.000 1.855 9.694
Bi O Ca
10 17 2
direct
0.123 0.651 0.314
0.500 0.999 0.983
0.147 0.147 0.318
0.999 0.500 0.983
0.904 0.369 0.675
0.609 0.609 0.324
0.369 0.904 0.675
0.651 0.123 0.314
0.377 0.377 0.679
0.876 0.876 0.682
0.222 0.222 0.605
0.871 0.347 0.894
0.144 0.690 0.102
0.339 0.339 0.902
0.382 0.382 0.293
0.834 0.834 0.901
0.150 0.150 0.107
0.836 0.260 0.358
0.027 0.027 0.722
0.260 0.836 0.358
0.045 0.556 0.731
0.541 0.541 0.724
0.347 0.871 0.894
0.690 0.144 0.102
0.640 0.640 0.107
0.556 0.045 0.731
0.764 0.764 0.344
0.005 0.005 0.983
0.503 0.503 0.979
```

Its space-group type is Cm (8).

=====

No. 3
The following is a DFT calculation (PBE) of a geometry-optimized CaBi2O5 structure.

The structure in POSCAR format:
```
CaBi2O5
1.0
2.134 -5.718 0.000
2.134 5.718 0.000
0.000 0.000 13.129
Ca O Bi
2 10 4
direct
0.102 0.898 0.750
0.898 0.102 0.250
0.757 0.243 0.081
0.243 0.757 0.581
0.974 0.026 0.874
0.243 0.757 0.919
0.974 0.026 0.626
0.026 0.974 0.374
0.292 0.708 0.250
0.708 0.292 0.750
0.026 0.974 0.126
0.757 0.243 0.419
0.802 0.198 0.600
0.198 0.802 0.100
0.802 0.198 0.900
0.198 0.802 0.400
```

Its space-group type is Cmcm (63).

=====

No. 4
The following is a DFT calculation (PBE) of a geometry-optimized Ca4Bi6O13 structure.

The structure in POSCAR format:
```
Ca4Bi6O13
1.0
-0.222 -2.906 2.301
4.021 -1.572 -1.619
10.976 12.797 16.655
Ca O Bi
4 13 6
direct
0.224 0.592 0.874
0.166 0.575 0.722
0.751 0.097 0.946
0.690 0.084 0.798
0.121 0.074 0.571
0.199 0.091 0.856
0.624 0.992 0.117
0.171 0.073 0.709
0.144 0.439 0.134
0.326 0.516 0.369
0.844 0.060 0.353
0.668 0.582 0.776
0.600 0.384 0.486
0.461 0.565 0.626
0.228 0.162 0.009
0.327 0.247 0.256
0.727 0.603 0.925
0.138 0.510 0.538
0.555 0.406 0.067
0.378 0.099 0.407
0.558 0.061 0.637
0.875 0.459 0.302
0.151 0.010 0.172
```

Its space-group type is P1 (1).

=====

No. 5
The following is a DFT calculation (PBE) of a geometry-optimized CaBi2O4 structure.

The structure in POSCAR format:
```
CaBi2O4
1.0
0.000 4.998 4.998
4.998 0.000 4.998
4.998 4.998 0.000
Bi O Ca
4 8 2
direct
0.125 0.625 0.625
0.625 0.625 0.125
0.625 0.125 0.625
0.625 0.625 0.625
0.399 0.867 0.867
0.383 0.383 0.383
0.867 0.399 0.867
0.867 0.867 0.867
0.383 0.851 0.383
0.851 0.383 0.383
0.867 0.867 0.399
>>>
Presence offers humility in our humanness and opens us to the awe and wonder of our Divinity.
Presence allows us to hear the subtle (or not so) knock of the needs and desires that have been over-ridden or pushed away, sometimes for years.
Presence is the key that opens to the doorway to abundant paths of possibility, the key that unlocks the patterns that keep us operating in survival mode, and then offers us a vision and steps toward thriving.
Presence invites intimate tending, budding, blooming and shedding of all that is ours to steward and grow.
Presence gifts clear sight to see what isn’t ours and to embrace what is.
Presence guides us in receiving higher consciousness, and offering from wholeness all that we are here to offer.
When we say yes to presence, no matter how scared we are of what might be on the other side of its doorway, we say yes to ourselves - to our hearts, to our soul journey, to our pain, to our passions, hopes, and dreams, to connection in all direction - to our unique Flow of being and living and natures and nourishes all that we wish to create in this life.
Ready to deepen into presence? Book your Exploratory Coaching Session here or get on the waitlist for one of my upcoming programs.